
Tuesday, October 18, 2011

Joey's home!

Joey, soldier bro', randomly decided to come home this weekend for a visit. He also decided to make it a surprise and rope me into being his accomplice. Naturally, the first thing I did was text my dad and inform him that Joey was coming home but to pretend he was surprised. My family does not do well with surprises. They are invariably gone on a long trip / replacing the toilet / not speaking to each other (it is amazing how silent a house with eleven people can actually be) / in the throes of influenza / at the ER / protesting a rezoning law / digging a well / giving birth / buying a dog / taking the ACT / giving twelve pets a flea bath* when you try to surprise them.
Joey arm wrestling Abe and Sam

After picking Joey up at the airport, we took Joey and Abe to dinner at Figaro's, where the salad is literally so good I would take it from a small child (kids don't like salad anyway, right?). We drove across the lake to my parent's house on the Northshore where everyone valiantly pretended to be surprised...we ended up staying a long time, and since the drive home is an hour, David and I didn't get into bed until almost 2 am. Unfortunately that's all the visit we got, since Joey was only home briefly to pick up his car and drive it back to Georgia.
I think it's a 12 hour drive so that sucks. But we were all glad to see Joey alive and well and I think he was happy to get some real food; that child ate enough pasta at Figaro's to fill a bathtub.

Anyone else have military family? How do you handle the long trips and distance?
My Dad was a Coast Guard officer before he retired and, when he was captaining ships, would be gone often for long periods of time. He retired and became a school teacher and he's home twice as much now! I think it kind of drives my mom nuts!

* These are actual examples.


  1. I was in the Navy back in the day. And I swear the only reasons some marriages stayed together was because of time and distance.

  2. Your footnote to this post made me laugh really hard. Omg!

    Glad you got to see your brother! I think it would be REALLY hard to have family in the military!

# Misplaced records of crystals
- - -
Record 1
## BaTcB (GGA-PBE)

Data for an optimized crystal structure of BaTcB.

abc: 4.478 4.478 4.478
angles: 60.00 60.00 60.00
Element x y z (fractional)
Ba  0.250  0.250  0.250
Tc  0.750  0.750  0.750
B  0.000  0.000  0.000

energy above the most stable polymorph in this dataset: 0.0000 eV/atom

=====

Record 2
## SrErNO (GGA-PBE)

Data for an optimized crystal structure of SrErNO.

abc: 3.943 5.678 6.858
angles: 90.00 90.00 90.00
Element x y z (fractional)
Sr  0.500  0.979  0.174
Sr  0.500  0.479  0.826
Er  0.000  0.985  0.659
Er  0.000  0.485  0.341
O  0.500  0.422  0.190
O  0.500  0.922  0.810
N  0.000  0.369  0.642
N  0.000  0.869  0.358

energy above the most stable polymorph in this dataset: 0.0951 eV/atom

=====

Record 3
## Cs2K2RbCuSb2 (GGA-PBE)

Data for an optimized crystal structure of Cs2K2RbCuSb2.

abc: 10.205 10.205 10.205
angles: 35.64 35.64 35.64
Element x y z (fractional)
Rb  0.500  0.500  0.500
K  0.215  0.215  0.215
K  0.785  0.785  0.785
Cu  0.000  0.000  0.000
Sb  0.089  0.089  0.089
Sb  0.911  0.911  0.911
Cs  0.639  0.639  0.639
Cs  0.361  0.361  0.361

energy above the most stable polymorph in this dataset: 0.0000 eV/atom

=====

Number 1: electronic total energy -4.843 eV per atom. Number 2: electronic total energy -6.927 eV per atom. Number 3: electronic total energy -2.465 eV per atom.
- - -
# Here the text continues

  3. Lol. I am really glad that you alerted your family. I freaking HATE surprises, and I do not use the word hate lightly. I would never ever ever want a surprise party of any sort, or a surprise visit! No thank you, ma'am!

    No one in my family is in the military. My dad was in the Navy during Vietnam - he signed up before the draft because he figured it would be safer to join the Navy instead of risk being drafted. It worked for him, but he really steered us kids away from the military...
